![]() | A Practical Guide to Feature-Driven Development (The Coad Series) author: Stephen R. Palmer John M. Felsing asin: 0130676152 binding: Paperback list price: $39.99 USD amazon price: $32.92 USD |
Written by Steve Palmer - a great Chief Programmer.
![]() | A Practical Guide to Feature-Driven Development (The Coad Series) author: Stephen R. Palmer John M. Felsing asin: 0130676152 binding: Paperback list price: $39.99 USD amazon price: $32.92 USD |
Written by Steve Palmer - a great Chief Programmer.
![]() | Agile Software Development Ecosystems author: Jim Highsmith asin: 0201760436 binding: Paperback list price: $54.99 USD amazon price: $46.12 USD |
The only book that discusses all the founding Agile methods in one place. Read it and one or two of the methods will resonate with you. They're the ones you'll want to explore further - with one caveat. What resonates for you may not resonate with your company. You have to able to sell it.
![]() | Are Your Lights On?: How to Figure Out What the Problem Really Is author: Donald C. Gause; Gerald M. Weinberg asin: 0932633161 binding: Paperback list price: $13.95 USD amazon price: $12.55 USD |
A great book on problem solving. People that have seen me speak about how visually expressive and visually explicit models are compared to how ambiguous and vague the written word can be, will recognize the "Mary had a little lamb" example from this book. Anything written by Weinberg is worth reading.
![]() | The Psychology of Computer Programming: Silver Anniversary Edition author: Gerald M. Weinberg asin: 0932633420 binding: Paperback list price: $44.95 USD amazon price: $40.45 USD |
One of the most famous books on programming. Anything written by Weinberg is worth reading. I once told Jerry that much of his stuff (and others) I read and then go "I wish I wrote that.". He replied something like "yes I used to think that way too then I learned to just be glad that I read it." 'nuff said?
![]() | Quality Software Management: Anticipating Change (Quality Software Management) author: Gerald M. Weinberg asin: 0932633323 binding: Hardcover list price: $44.95 USD amazon price: $35.96 USD |
The last of a four volume series. Anything written by Weinberg is worth reading. I once told Jerry that much of his stuff (and others) I read and then go "I wish I wrote that.". He replied something like "yes I used to think that way too then I learned to just be glad that I read it." 'nuff said?
![]() | Quality Software Management: Congruent Action (Quality Software Management) author: Gerald M. Weinberg asin: 0932633285 binding: Hardcover list price: $39.95 USD amazon price: $31.96 USD |
Unrelated to this text: data records.
'''
## Sr2VB (PBE)

Data for crystalline Sr2VB at its relaxed geometry.

Summary:
The formation energy from the elements comes out at 0.566 eV/atom. As for the energy: -4.22 eV per atom. The total magnetization comes out at 3.59 μB per formula unit. Its density of states at the Fermi level is 3.8 states/eV/f.u.

Geometry as CIF:
```
data_Sr2VB
_cell_length_a 11.031
_cell_length_b 11.031
_cell_length_c 8.084
_cell_angle_alpha 46.98
_cell_angle_beta 46.98
_cell_angle_gamma 90.00
_space_group_name_H-M_alt 'P 1'
_space_group_IT_number 1
loop_
_space_group_symop_operation_xyz
'x,y,z'
loop_
_atom_site_label
_atom_site_type_symbol
_atom_site_fract_x
_atom_site_fract_y
_atom_site_fract_z
Sr1 Sr 0.444 0.125 0.250
Sr2 Sr 0.306 0.625 0.250
Sr3 Sr 0.375 0.556 0.750
Sr4 Sr 0.875 0.694 0.750
B1 B 0.500 0.500 0.000
B2 B 0.250 0.750 0.500
V1 V 0.000 0.000 0.000
V2 V 0.750 0.250 0.500
```

## SrV3B (PBE)

Data for crystalline SrV3B at its relaxed geometry.

Summary:
The formation energy from the elements comes out at 3.196 eV/atom. As for the energy: -3.95 eV per atom. The total magnetization comes out at 0.00 μB per formula unit. Its density of states at the Fermi level is 6.0 states/eV/f.u.

Geometry as CIF:
```
data_SrV3B
_cell_length_a 4.448
_cell_length_b 4.448
_cell_length_c 4.448
_cell_angle_alpha 90.00
_cell_angle_beta 90.00
_cell_angle_gamma 90.00
_space_group_name_H-M_alt 'P 1'
_space_group_IT_number 1
loop_
_space_group_symop_operation_xyz
'x,y,z'
loop_
_atom_site_label
_atom_site_type_symbol
_atom_site_fract_x
_atom_site_fract_y
_atom_site_fract_z
Sr1 Sr 0.000 0.000 0.000
B1 B 0.500 0.500 0.500
V1 V 0.000 0.500 0.000
V2 V 0.000 0.000 0.500
V3 V 0.500 0.000 0.000
```

## SrB14W (PBE)

Data for crystalline SrB14W at its relaxed geometry.

Summary:
The formation energy from the elements comes out at -0.060 eV/atom. As for the energy: -6.82 eV per atom. The total magnetization comes out at 0.00 μB per formula unit. Its density of states at the Fermi level is 2.8 states/eV/f.u.

Geometry as CIF:
```
data_SrB14W
_cell_length_a 5.882
_cell_length_b 7.496
_cell_length_c 7.496
_cell_angle_alpha 67.57
_cell_angle_beta 66.90
_cell_angle_gamma 66.90
_space_group_name_H-M_alt 'P 1'
_space_group_IT_number 1
loop_
_space_group_symop_operation_xyz
'x,y,z'
loop_
_atom_site_label
_atom_site_type_symbol
_atom_site_fract_x
_atom_site_fract_y
_atom_site_fract_z
Sr1 Sr 0.250 0.385 0.115
Sr2 Sr 0.750 0.615 0.885
B1 B 0.666 0.365 0.302
B2 B 0.334 0.635 0.698
B3 B 0.166 0.802 0.865
B4 B 0.834 0.198 0.135
B5 B 0.121 0.249 0.509
B6 B 0.879 0.751 0.491
B7 B 0.621 0.009 0.749
B8 B 0.379 0.991 0.251
B9 B 0.081 0.086 0.751
B10 B 0.919 0.914 0.249
B11 B 0.581 0.251 0.586
B12 B 0.419 0.749 0.414
B13 B 0.721 0.600 0.279
B14 B 0.600 0.400 0.721
B15 B 0.221 0.779 0.100
B16 B 0.100 0.221 0.900
B17 B 0.279 0.400 0.721
B18 B 0.400 0.600 0.279
B19 B 0.779 0.221 0.900
B20 B 0.900 0.779 0.100
B21 B 0.324 0.971 0.874
B22 B 0.169 0.029 0.126
B23 B 0.824 0.374 0.471
B24 B 0.669 0.626 0.529
'''
End of the data records.
The third of a four volume series. Anything written by Weinberg is worth reading. I once told Jerry that much of his stuff (and others) I read and then go "I wish I wrote that.". He replied something like "yes I used to think that way too then I learned to just be glad that I read it." 'nuff said?
![]() | Quality Software Management: First-Order Measurement (Quality Software Management) author: Gerald M. Weinberg asin: 0932633242 binding: Hardcover list price: $43.95 USD amazon price: $43.95 USD |
The second of a four volume series. Anything written by Weinberg is worth reading. I once told Jerry that much of his stuff (and others) I read and then go "I wish I wrote that.". He replied something like "yes I used to think that way too then I learned to just be glad that I read it." 'nuff said?
![]() | Quality Software Management: Systems Thinking (Quality Software Management) author: Gerald M. Weinberg asin: 0932633226 binding: Hardcover list price: $41.95 USD amazon price: $41.95 USD |
The first of a four volume series. Anything written by Weinberg is worth reading. I once told Jerry that much of his stuff (and others) I read and then go "I wish I wrote that.". He replied something like "yes I used to think that way too then I learned to just be glad that I read it." 'nuff said?
![]() | Understanding the Professional Programmer author: Gerald M. Weinberg asin: 0932633099 binding: Paperback list price: $24.95 USD amazon price: $24.95 USD |
A gem of a book. The analogy early in the book re: waitering and programming is brilliant as is the little Fortran code snippet and the very powerful lessons drawn from it. Worth it just for those two inisghts alone. Anything written by Weinberg is worth reading. I once told Jerry that much of his stuff (and others) I read and then go "I wish I wrote that.". He replied something like "yes I used to think that way too then I learned to just be glad that I read it." 'nuff said?
![]() | Fatal Defect: : Chasing Killer Computer Bugs author: Ivars Peterson asin: 0812920236 binding: Hardcover list price: $25.00 USD amazon price: $25.00 |
A refreshingly different take on debugging and hence design. One of my favourites.